## Given
-- begin --
Entry from the Materials Project database: a relaxed structure of InIO5 (PBE).

Geometry as extended XYZ:
```
56
Lattice="-3.061 5.281 3.880 4.630 -2.461 7.003 10.393 8.801 -3.779" Properties=species:S:1:pos:R:3 pbc="T T T"
O 8.894 7.623 -2.637
O 5.681 1.936 5.218
O 2.697 2.600 1.960
O 2.608 2.449 4.754
O 11.123 6.322 3.543
O 12.772 8.728 2.803
O 11.890 10.143 5.688
O 11.117 8.792 0.176
O -0.810 2.893 4.302
O 8.147 11.255 3.881
O 9.161 4.658 1.609
O 6.059 6.960 6.654
O 7.691 9.699 -1.112
O 0.072 1.478 1.416
O 3.815 0.366 3.223
O 5.903 4.661 0.451
O 2.295 5.376 0.525
O 5.253 7.714 3.758
O 9.016 3.822 5.282
O 9.354 9.171 2.350
O 2.801 6.963 5.496
O 5.342 5.627 1.161
O 9.667 6.245 6.580
O 6.620 5.994 5.943
O 6.281 9.685 1.887
O 8.459 8.328 8.111
O 4.004 4.887 3.971
O 7.958 6.734 3.134
O 6.709 3.907 3.346
O 13.333 7.761 2.093
O -1.371 3.860 5.012
O 0.845 2.829 6.929
O 3.991 4.777 6.759
O 2.946 7.799 1.822
O 4.271 1.921 8.217
O 7.971 6.843 0.346
O 9.265 9.020 5.145
O 3.068 3.997 9.742
O 3.503 3.292 -1.006
O 0.839 5.299 3.562
I 11.840 5.635 5.042
I 0.122 5.985 2.063
I 8.160 9.385 3.777
I 2.831 5.088 5.421
I 5.500 10.323 0.401
I 3.802 2.236 3.327
I 6.462 1.297 6.703
I 9.131 6.532 1.684
In 3.666 7.041 0.051
In 2.315 -1.231 3.501
In 5.981 5.810 3.552
In 0.000 0.000 0.000
In 0.784 1.410 5.442
In -1.531 2.641 1.940
In 7.512 3.170 1.612
In 5.197 4.401 -1.889
```

Calculated formation energy, kJ per mole of atoms: -61.0
Space-group type: Pnma

***

Entry from the Materials Project database: a relaxed structure of Na3ScSiGeP2O12 (PBE).

Geometry as extended XYZ:
```
80
Lattice="-0.197 -0.767 -15.330 8.730 -1.856 -0.019 -1.446 -6.862 5.584" Properties=species:S:1:pos:R:3 pbc="T T T"
O 3.851 -6.278 1.788
O 5.744 -7.324 -7.253
O 3.982 -5.319 -3.306
O 1.941 -6.189 -4.611
O 5.174 -3.460 -10.257
O 1.622 -7.036 2.884
O 3.638 -1.661 -6.096
O 7.643 -4.728 1.434
O 6.213 -7.470 -9.773
O -0.893 -6.499 4.243
O 6.405 -6.733 3.045
O 0.908 -2.149 -2.582
O 5.227 -2.385 -12.662
O 7.575 -3.738 -3.995
O 3.374 -7.810 -3.432
O 5.144 -3.284 -7.408
O 3.817 -6.929 -8.861
O 1.947 -6.159 -2.098
O 5.949 -8.303 -1.800
O 5.660 -3.317 -2.377
O 0.658 -3.651 -7.569
O 5.923 -1.707 -0.286
O 0.877 -1.973 0.267
O 5.889 -8.348 -4.791
O 2.209 -5.328 -9.865
O 1.485 -7.758 -9.456
O 1.197 -2.772 -10.033
O 3.389 -2.595 -1.001
O 1.900 -4.437 2.513
O -0.612 -5.733 -5.867
O 3.111 -3.194 -11.650
O 6.167 -5.748 -5.162
O -0.450 -5.617 -1.187
O 0.635 -3.588 -4.579
O 6.293 -6.878 0.196
O 1.460 -1.163 -7.942
O 4.901 -4.899 -12.254
O 0.698 -2.713 -12.551
O 0.960 -1.074 -4.987
O 1.478 -6.012 0.422
O 1.830 -6.334 -7.460
O 6.672 -5.873 -2.210
O 3.180 -4.184 -6.222
O 7.905 -2.972 -13.771
O -0.481 -4.774 -10.962
O 7.656 -3.906 -8.676
O 5.122 -4.195 0.086
O 5.161 -3.257 -4.895
Si 0.498 -2.413 -8.569
Si 6.535 -7.281 -5.792
Si 2.268 -5.970 1.883
Si 4.962 -2.957 -0.914
Sc 5.661 -5.353 1.519
Sc 6.378 -2.325 -8.939
Sc 1.197 -4.809 -6.137
Sc 2.111 -1.014 -1.264
Na 3.216 -3.323 -8.887
Na 4.889 -8.405 1.693
Na 3.681 -7.006 -6.098
Na 3.110 -2.496 1.344
Na 7.377 -3.807 -6.331
Na 5.842 -5.427 -8.764
Na 4.156 -6.303 4.132
Na 0.426 -7.861 -5.962
Na 1.575 -4.116 -1.090
Na -0.586 -5.695 1.577
Na 7.679 -3.867 -1.231
Na -0.307 -5.759 -3.524
Ge 1.276 -4.143 -11.323
Ge 5.109 -8.542 -8.542
Ge 5.740 -4.687 -3.668
Ge 0.842 -7.231 -0.867
P 7.101 -7.698 -11.038
P 4.660 -3.499 -11.705
P 0.393 -2.188 -4.030
P 2.278 -6.578 -8.910
P 2.834 -6.387 -3.363
P -0.211 -2.559 -13.812
P 4.253 -3.104 -6.157
P 6.741 -7.122 -1.254
```

E above lowest polymorph, meV per atom: 3.1
Calculated formation energy, kJ per mole of atoms: -266.5

***

Entry from the Materials Project database: a relaxed structure of SiO2 (PBE).

Geometry as extended XYZ:
```
72
Lattice="-4.368 4.739 4.088 6.426 -3.468 10.888 8.960 10.058 -2.085" Properties=species:S:1:pos:R:3 pbc="T T T"
O -3.016 4.721 5.130
O 12.511 4.774 8.963
O 7.725 9.716 -0.484
O 7.693 8.230 6.933
O 1.927 0.890 5.520
O 2.707 6.323 2.263
O 0.939 5.242 8.049
O -0.049 1.956 2.172
-- stop --

## Request
Echo the calculation results further above character by character.

## Solution
Entry from the Materials Project database: a relaxed structure of InIO5 (PBE).

Geometry as extended XYZ:
```
56
Lattice="-3.061 5.281 3.880 4.630 -2.461 7.003 10.393 8.801 -3.779" Properties=species:S:1:pos:R:3 pbc="T T T"
O 8.894 7.623 -2.637
O 5.681 1.936 5.218
O 2.697 2.600 1.960
O 2.608 2.449 4.754
O 11.123 6.322 3.543
O 12.772 8.728 2.803
O 11.890 10.143 5.688
O 11.117 8.792 0.176
O -0.810 2.893 4.302
O 8.147 11.255 3.881
O 9.161 4.658 1.609
O 6.059 6.960 6.654
O 7.691 9.699 -1.112
O 0.072 1.478 1.416
O 3.815 0.366 3.223
O 5.903 4.661 0.451
O 2.295 5.376 0.525
O 5.253 7.714 3.758
O 9.016 3.822 5.282
O 9.354 9.171 2.350
O 2.801 6.963 5.496
O 5.342 5.627 1.161
O 9.667 6.245 6.580
O 6.620 5.994 5.943
O 6.281 9.685 1.887
O 8.459 8.328 8.111
O 4.004 4.887 3.971
O 7.958 6.734 3.134
O 6.709 3.907 3.346
O 13.333 7.761 2.093
O -1.371 3.860 5.012
O 0.845 2.829 6.929
O 3.991 4.777 6.759
O 2.946 7.799 1.822
O 4.271 1.921 8.217
O 7.971 6.843 0.346
O 9.265 9.020 5.145
O 3.068 3.997 9.742
O 3.503 3.292 -1.006
O 0.839 5.299 3.562
I 11.840 5.635 5.042
I 0.122 5.985 2.063
I 8.160 9.385 3.777
I 2.831 5.088 5.421
I 5.500 10.323 0.401
I 3.802 2.236 3.327
I 6.462 1.297 6.703
I 9.131 6.532 1.684
In 3.666 7.041 0.051
In 2.315 -1.231 3.501
In 5.981 5.810 3.552
In 0.000 0.000 0.000
In 0.784 1.410 5.442
In -1.531 2.641 1.940
In 7.512 3.170 1.612
In 5.197 4.401 -1.889
```

Calculated formation energy, kJ per mole of atoms: -61.0
Space-group type: Pnma

***

Entry from the Materials Project database: a relaxed structure of Na3ScSiGeP2O12 (PBE).

Geometry as extended XYZ:
```
80
Lattice="-0.197 -0.767 -15.330 8.730 -1.856 -0.019 -1.446 -6.862 5.584" Properties=species:S:1:pos:R:3 pbc="T T T"
O 3.851 -6.278 1.788
O 5.744 -7.324 -7.253
O 3.982 -5.319 -3.306
O 1.941 -6.189 -4.611
O 5.174 -3.460 -10.257
O 1.622 -7.036 2.884
O 3.638 -1.661 -6.096
O 7.643 -4.728 1.434
O 6.213 -7.470 -9.773
O -0.893 -6.499 4.243
O 6.405 -6.733 3.045
O 0.908 -2.149 -2.582
O 5.227 -2.385 -12.662
O 7.575 -3.738 -3.995
O 3.374 -7.810 -3.432
O 5.144 -3.284 -7.408
O 3.817 -6.929 -8.861
O 1.947 -6.159 -2.098
O 5.949 -8.303 -1.800
O 5.660 -3.317 -2.377
O 0.658 -3.651 -7.569
O 5.923 -1.707 -0.286
O 0.877 -1.973 0.267
O 5.889 -8.348 -4.791
O 2.209 -5.328 -9.865
O 1.485 -7.758 -9.456
O 1.197 -2.772 -10.033
O 3.389 -2.595 -1.001
O 1.900 -4.437 2.513
O -0.612 -5.733 -5.867
O 3.111 -3.194 -11.650
O 6.167 -5.748 -5.162
O -0.450 -5.617 -1.187
O 0.635 -3.588 -4.579
O 6.293 -6.878 0.196
O 1.460 -1.163 -7.942
O 4.901 -4.899 -12.254
O 0.698 -2.713 -12.551
O 0.960 -1.074 -4.987
O 1.478 -6.012 0.422
O 1.830 -6.334 -7.460
O 6.672 -5.873 -2.210
O 3.180 -4.184 -6.222
O 7.905 -2.972 -13.771
O -0.481 -4.774 -10.962
O 7.656 -3.906 -8.676
O 5.122 -4.195 0.086
O 5.161 -3.257 -4.895
Si 0.498 -2.413 -8.569
Si 6.535 -7.281 -5.792
Si 2.268 -5.970 1.883
Si 4.962 -2.957 -0.914
Sc 5.661 -5.353 1.519
Sc 6.378 -2.325 -8.939
Sc 1.197 -4.809 -6.137
Sc 2.111 -1.014 -1.264
Na 3.216 -3.323 -8.887
Na 4.889 -8.405 1.693
Na 3.681 -7.006 -6.098
Na 3.110 -2.496 1.344
Na 7.377 -3.807 -6.331
Na 5.842 -5.427 -8.764
Na 4.156 -6.303 4.132
Na 0.426 -7.861 -5.962
Na 1.575 -4.116 -1.090
Na -0.586 -5.695 1.577
Na 7.679 -3.867 -1.231
Na -0.307 -5.759 -3.524
Ge 1.276 -4.143 -11.323
Ge 5.109 -8.542 -8.542
Ge 5.740 -4.687 -3.668
Ge 0.842 -7.231 -0.867
P 7.101 -7.698 -11.038
P 4.660 -3.499 -11.705
P 0.393 -2.188 -4.030
P 2.278 -6.578 -8.910
P 2.834 -6.387 -3.363
P -0.211 -2.559 -13.812
P 4.253 -3.104 -6.157
P 6.741 -7.122 -1.254
```

E above lowest polymorph, meV per atom: 3.1
Calculated formation energy, kJ per mole of atoms: -266.5

***

Entry from the Materials Project database: a relaxed structure of SiO2 (PBE).

Geometry as extended XYZ:
```
72
Lattice="-4.368 4.739 4.088 6.426 -3.468 10.888 8.960 10.058 -2.085" Properties=species:S:1:pos:R:3 pbc="T T T"
O -3.016 4.721 5.130
O 12.511 4.774 8.963
O 7.725 9.716 -0.484
O 7.693 8.230 6.933
O 1.927 0.890 5.520
O 2.707 6.323 2.263
O 0.939 5.242 8.049
O -0.049 1.956 2.172